[Entries]
A.
{
  "formula": "C4H6OS2",
  "method": "the ωB97M-V functional and the def2-TZVPD basis",
  "orbital_gap_ev": 9.15,
  "mol_weight_g_mol": 134.2,
  "smiles": "C[C@@H]1CSSC1=O",
  "symbols": ["C", "C", "C", "S", "S", "C", "O", "H", "H", "H", "H", "H", "H"],
  "xyz": [[1.1998, -0.8088, 0.2855], [0.1540, 0.0795, -0.4315], [-0.1974, 1.2671, 0.4705], [-1.5695, 0.7232, 1.5157], [-2.5401, -0.3841, 0.0776], [-1.0805, -0.6828, -0.8517], [-1.1399, -1.2567, -1.9313], [2.0906, -0.2046, 0.4988], [1.4562, -1.6159, -0.3603], [0.8500, -1.3015, 1.1754], [0.6272, 0.4480, -1.3679], [0.6853, 1.6070, 1.0587], [-0.5358, 2.1294, -0.1394]]
}


B.
{
  "formula": "C4H6OS2",
  "method": "the ωB97M-V functional and the def2-TZVPD basis",
  "orbital_gap_ev": 7.17,
  "mol_weight_g_mol": 134.2,
  "smiles": "COC(=S)C(C)=S",
  "symbols": ["C", "O", "C", "S", "C", "C", "S", "H", "H", "H", "H", "H", "H"],
  "xyz": [[0.0563, -2.1057, 0.5504], [-1.1422, -1.4219, 0.8439], [-1.3673, -0.0889, 0.5682], [-2.9038, 0.2658, 0.2032], [-0.3153, 0.9501, 0.5823], [-0.4046, 2.2244, -0.1790], [0.9927, 0.6095, 1.5227], [0.6503, -2.2879, 1.4054], [0.7077, -1.6535, -0.2359], [-0.1209, -3.1552, 0.2775], [-0.4979, 3.1110, 0.3485], [-1.2563, 2.2262, -0.7848], [0.6430, 2.2697, -0.6904]]
}


C.
{
  "formula": "C4H6OS2",
  "method": "the ωB97M-V functional and the def2-TZVPD basis",
  "orbital_gap_ev": 8.30,
  "mol_weight_g_mol": 134.2,
  "smiles": "CSC(=S)CC=O",
  "symbols": ["C", "S", "C", "S", "C", "C", "O", "H", "H", "H", "H", "H", "H"],
  "xyz": [[2.3645, -0.8248, -0.4887], [1.0835, 0.4241, -0.7475], [-0.1105, 0.0716, 0.4229], [-0.1268, -1.2584, 1.4548], [-1.1412, 1.2197, 0.3474], [-2.3284, 0.4171, -0.1650], [-2.9198, 0.6606, -1.3023], [2.0550, -1.9024, -0.9173], [3.3314, -0.7786, -1.0090], [2.5915, -0.9826, 0.5653], [-1.5365, 1.3698, 1.4705], [-0.7024, 2.0894, -0.1524], [-2.5601, -0.5055, 0.5214]]
}


D.
{
  "formula": "C4H6OS2",
  "method": "the ωB97M-V functional and the def2-TZVPD basis",
  "orbital_gap_ev": 8.66,
  "mol_weight_g_mol": 134.2,
  "smiles": "S[C@H]1[C@@H]2OCS[C@@H]12",
  "symbols": ["S", "C", "C", "O", "C", "S", "C", "H", "H", "H", "H", "H", "H"],
  "xyz": [[1.3564, 1.5342, 1.7782], [-0.0703, 0.9584, 0.9924], [-0.2112, 0.7224, -0.6469], [-1.2679, 0.2504, -1.4612], [-1.0368, -0.9968, -1.8255], [0.0297, -1.7867, -0.4843], [-0.3798, -0.4380, 0.4892], [2.1881, 0.8333, 1.1005], [-0.8265, 1.5871, 1.3207], [0.8237, 0.9149, -1.1638], [-0.4223, -1.0237, -2.6490], [-2.0540, -1.3591, -2.2257], [-1.5550, -0.3905, 0.5492]]
}


Stability check: which of them is most stable? A.


A.
{
  "formula": "H28NO16S",
  "method": "the ωB97M-V functional and the def2-TZVPD basis",
  "orbital_gap_ev": 6.97,
  "mol_weight_g_mol": 330.3,
  "total_charge": -1,
  "symbols": ["N", "H", "H", "H", "H", "S", "O", "O", "O", "O", "O", "H", "H", "O", "H", "H", "O", "H", "H", "O", "H", "H", "O", "H", "H", "O", "H", "H", "O", "H", "H", "O", "H", "H", "O", "H", "H", "O", "H", "H", "O", "H", "H", "O", "H", "H"],

[Wanted]
Next, type out only the lines earlier on with the word "def2-TZVPD" in them.

[Done]
  "method": "the ωB97M-V functional and the def2-TZVPD basis",
  "method": "the ωB97M-V functional and the def2-TZVPD basis",
  "method": "the ωB97M-V functional and the def2-TZVPD basis",
  "method": "the ωB97M-V functional and the def2-TZVPD basis",
  "method": "the ωB97M-V functional and the def2-TZVPD basis",